**Contents**
1.
ORCA calculation (wB97M-V/def2-TZVPD) on a structure of composition C25H37N2PbS.

Its total charge is +1. The calculation puts the HOMO energy (spin up / spin down) at -9.84 / -9.82 eV. The calculation puts the gap between HOMO and LUMO (spin up / spin down) at 5.558 / 4.784 eV.

Each line ends with the natural charge from an NBO analysis.
Geometry (Å):
1 Pb -0.19386 0.63036 0.50982  1.478
2 S -0.87876 -1.07972 2.97538  -0.309
3 N 0.52827 -0.62934 5.23930  -0.578
4 N 0.13662 1.20847 3.87577  -0.604
5 C 0.07502 -2.87598 -0.21482  -0.170
6 C -1.43339 -2.93788 -2.30358  -0.679
7 C 3.08430 -0.85793 -1.06223  -0.643
8 C -0.03227 -0.11028 4.11302  0.345
9 C -3.16155 0.42837 -2.69859  -0.667
10 C -0.23273 -2.49561 -1.54108  0.093
11 C -3.79961 2.83810 -2.23848  -0.658
12 C 1.91529 1.35871 5.47130  -0.429
13 C -3.47366 1.20444 -0.39599  -0.213
14 C 0.82420 -1.69443 -2.02245  0.049
15 C 1.77453 -1.55033 -0.98179  -0.176
16 C 0.29960 2.42910 -3.60652  -0.251
17 C -2.64755 0.18508 0.19378  -0.735
18 C 0.02516 2.55714 -2.25379  -0.232
19 C 1.35929 0.15206 6.18120  -0.217
20 C 1.29662 -2.26549 0.14525  0.142
21 C -0.68871 -3.81443 0.63835  -0.643
22 C 2.18618 2.14005 -1.58934  -0.256
23 C 0.89269 1.76404 -1.37965  -0.484
24 C 1.65632 2.33001 -3.99149  -0.217
25 C 1.99247 -2.42013 1.44068  -0.694
26 C -3.89256 1.37432 -1.71515  0.096
27 C 2.61192 2.34151 -2.98472  -0.251
28 C 0.74773 2.10486 4.86579  -0.221
29 C 0.95833 -1.12031 -3.38942  -0.674
30 H -3.35949 2.91933 -3.23106  0.220
31 H 3.90666 -1.57773 -1.20789  0.226
32 H 0.72373 0.46736 7.02087  0.205
33 H -2.96299 0.88769 -3.67081  0.222
34 H -0.57223 2.43903 -4.30177  0.225
35 H -0.91499 -3.37472 1.61681  0.225
36 H 0.00690 2.35592 5.64027  0.203
37 H 3.64612 2.66165 -3.19643  0.232
38 H 1.82861 2.32868 -5.03377  0.228
39 H -0.95651 3.07473 -2.23545  0.233
40 H -2.42494 -0.73191 -0.39282  0.231
41 H 1.27530 -0.07103 -3.34296  0.251
42 H 2.92400 2.22419 -0.75839  0.228
43 H -1.44672 -4.03557 -2.39691  0.242
44 H -4.79167 3.24373 -2.31879  0.237
45 H -1.43951 -2.51495 -3.31557  0.224
46 H -1.63065 -4.09838 0.15639  0.224
47 H 2.45940 1.99795 6.16495  0.245
48 H 0.00365 -1.15521 -3.93025  0.219
49 H 1.04301 3.02244 4.35148  0.225
50 H 1.70699 -1.67586 -3.98071  0.245
51 H -3.88197 1.89023 0.37753  0.208
52 H -0.10827 -4.73221 0.81721  0.224
53 H 2.38651 -3.44234 1.54908  0.251
54 H -3.21348 3.57386 -1.64739  0.217
55 H -2.36873 -2.64139 -1.80097  0.223
56 H -2.79303 -0.00969 1.26528  0.243
57 H -0.53985 1.60587 3.22012  0.409
58 H 2.83103 -1.72249 1.53442  0.222
59 H 0.29691 -1.57610 5.44139  0.429
60 H 2.13802 -0.51113 6.56765  0.228
61 H -3.83658 -0.41182 -2.81057  0.232
62 H -2.20284 0.04134 -2.34845  0.209
63 H 1.30484 -2.24106 2.27934  0.249
64 H 3.30112 -0.29402 -0.14368  0.204
65 H 3.11968 -0.15658 -1.90258  0.239
66 H 2.61206 1.04539 4.68386  0.221

=====

2.
ORCA calculation (wB97M-V/def2-TZVPD) on a structure of composition C25H37O2Sr.

Its total charge is -1. The calculation puts the HOMO energy (spin up / spin down) at -0.63 / -1.16 eV. The calculation puts the gap between HOMO and LUMO (spin up / spin down) at 3.086 / 3.569 eV.

Each line ends with the natural charge from an NBO analysis.
Geometry (Å):
1 Sr 0.53573 -1.24641 -0.56372  0.999
2 O -0.48773 0.99520 -2.23861  -0.601
3 O 0.08104 -1.82382 -3.56933  -0.599
4 C 1.53134 -3.10821 -5.03202  -0.435
5 C -1.02891 2.27558 -2.79093  0.288
6 C 0.81986 -1.89303 6.21051  -0.592
7 C 2.10881 1.58830 0.13327  -0.417
8 C 0.45821 2.77317 -3.11081  -0.462
9 C -0.50924 0.13168 6.78082  -0.590
10 C -1.92306 1.72695 -3.94842  -0.635
11 C -1.06262 -0.81174 3.38982  0.058
12 C 0.73734 0.96263 1.83903  -0.332
13 C 1.62034 0.35186 5.57532  -0.590
14 C -2.45989 -0.09273 0.05598  -0.338
15 C -2.34140 -1.55506 0.05203  -0.466
16 C 0.78272 1.68874 0.63247  -0.406
17 C 0.38513 -0.51793 5.70749  -0.092
18 C 1.97135 0.26401 2.01231  -0.411
19 C 0.67894 -2.13440 -5.97338  -0.435
20 C -1.81922 3.10870 -1.76689  -0.640

**Job**
Next, transcribe the notes earlier on character by character.

**Reply**
1.
ORCA calculation (wB97M-V/def2-TZVPD) on a structure of composition C25H37N2PbS.

Its total charge is +1. The calculation puts the HOMO energy (spin up / spin down) at -9.84 / -9.82 eV. The calculation puts the gap between HOMO and LUMO (spin up / spin down) at 5.558 / 4.784 eV.

Each line ends with the natural charge from an NBO analysis.
Geometry (Å):
1 Pb -0.19386 0.63036 0.50982  1.478
2 S -0.87876 -1.07972 2.97538  -0.309
3 N 0.52827 -0.62934 5.23930  -0.578
4 N 0.13662 1.20847 3.87577  -0.604
5 C 0.07502 -2.87598 -0.21482  -0.170
6 C -1.43339 -2.93788 -2.30358  -0.679
7 C 3.08430 -0.85793 -1.06223  -0.643
8 C -0.03227 -0.11028 4.11302  0.345
9 C -3.16155 0.42837 -2.69859  -0.667
10 C -0.23273 -2.49561 -1.54108  0.093
11 C -3.79961 2.83810 -2.23848  -0.658
12 C 1.91529 1.35871 5.47130  -0.429
13 C -3.47366 1.20444 -0.39599  -0.213
14 C 0.82420 -1.69443 -2.02245  0.049
15 C 1.77453 -1.55033 -0.98179  -0.176
16 C 0.29960 2.42910 -3.60652  -0.251
17 C -2.64755 0.18508 0.19378  -0.735
18 C 0.02516 2.55714 -2.25379  -0.232
19 C 1.35929 0.15206 6.18120  -0.217
20 C 1.29662 -2.26549 0.14525  0.142
21 C -0.68871 -3.81443 0.63835  -0.643
22 C 2.18618 2.14005 -1.58934  -0.256
23 C 0.89269 1.76404 -1.37965  -0.484
24 C 1.65632 2.33001 -3.99149  -0.217
25 C 1.99247 -2.42013 1.44068  -0.694
26 C -3.89256 1.37432 -1.71515  0.096
27 C 2.61192 2.34151 -2.98472  -0.251
28 C 0.74773 2.10486 4.86579  -0.221
29 C 0.95833 -1.12031 -3.38942  -0.674
30 H -3.35949 2.91933 -3.23106  0.220
31 H 3.90666 -1.57773 -1.20789  0.226
32 H 0.72373 0.46736 7.02087  0.205
33 H -2.96299 0.88769 -3.67081  0.222
34 H -0.57223 2.43903 -4.30177  0.225
35 H -0.91499 -3.37472 1.61681  0.225
36 H 0.00690 2.35592 5.64027  0.203
37 H 3.64612 2.66165 -3.19643  0.232
38 H 1.82861 2.32868 -5.03377  0.228
39 H -0.95651 3.07473 -2.23545  0.233
40 H -2.42494 -0.73191 -0.39282  0.231
41 H 1.27530 -0.07103 -3.34296  0.251
42 H 2.92400 2.22419 -0.75839  0.228
43 H -1.44672 -4.03557 -2.39691  0.242
44 H -4.79167 3.24373 -2.31879  0.237
45 H -1.43951 -2.51495 -3.31557  0.224
46 H -1.63065 -4.09838 0.15639  0.224
47 H 2.45940 1.99795 6.16495  0.245
48 H 0.00365 -1.15521 -3.93025  0.219
49 H 1.04301 3.02244 4.35148  0.225
50 H 1.70699 -1.67586 -3.98071  0.245
51 H -3.88197 1.89023 0.37753  0.208
52 H -0.10827 -4.73221 0.81721  0.224
53 H 2.38651 -3.44234 1.54908  0.251
54 H -3.21348 3.57386 -1.64739  0.217
55 H -2.36873 -2.64139 -1.80097  0.223
56 H -2.79303 -0.00969 1.26528  0.243
57 H -0.53985 1.60587 3.22012  0.409
58 H 2.83103 -1.72249 1.53442  0.222
59 H 0.29691 -1.57610 5.44139  0.429
60 H 2.13802 -0.51113 6.56765  0.228
61 H -3.83658 -0.41182 -2.81057  0.232
62 H -2.20284 0.04134 -2.34845  0.209
63 H 1.30484 -2.24106 2.27934  0.249
64 H 3.30112 -0.29402 -0.14368  0.204
65 H 3.11968 -0.15658 -1.90258  0.239
66 H 2.61206 1.04539 4.68386  0.221

=====

2.
ORCA calculation (wB97M-V/def2-TZVPD) on a structure of composition C25H37O2Sr.

Its total charge is -1. The calculation puts the HOMO energy (spin up / spin down) at -0.63 / -1.16 eV. The calculation puts the gap between HOMO and LUMO (spin up / spin down) at 3.086 / 3.569 eV.

Each line ends with the natural charge from an NBO analysis.
Geometry (Å):
1 Sr 0.53573 -1.24641 -0.56372  0.999
2 O -0.48773 0.99520 -2.23861  -0.601
3 O 0.08104 -1.82382 -3.56933  -0.599
4 C 1.53134 -3.10821 -5.03202  -0.435
5 C -1.02891 2.27558 -2.79093  0.288
6 C 0.81986 -1.89303 6.21051  -0.592
7 C 2.10881 1.58830 0.13327  -0.417
8 C 0.45821 2.77317 -3.11081  -0.462
9 C -0.50924 0.13168 6.78082  -0.590
10 C -1.92306 1.72695 -3.94842  -0.635
11 C -1.06262 -0.81174 3.38982  0.058
12 C 0.73734 0.96263 1.83903  -0.332
13 C 1.62034 0.35186 5.57532  -0.590
14 C -2.45989 -0.09273 0.05598  -0.338
15 C -2.34140 -1.55506 0.05203  -0.466
16 C 0.78272 1.68874 0.63247  -0.406
17 C 0.38513 -0.51793 5.70749  -0.092
18 C 1.97135 0.26401 2.01231  -0.411
19 C 0.67894 -2.13440 -5.97338  -0.435
20 C -1.81922 3.10870 -1.76689  -0.640